(Wanted)
Echo everything further below character by character.

(Data)
'''
Below is crystalline DyZrMn17 at its relaxed geometry, with properties calculated at the PBE-GGA level.

The theoretical density is 8.060 g/cm3. The calculation puts the density of states at the Fermi level at 18.5 states/eV/f.u. For the magnetization, the calculation gives 0.25 μB/atom. Its symmetry is R3m. For the electronic total energy, the calculation gives -0.32753 hartree per atom. For the energy of formation from the pure elements, the calculation gives -0.307 eV/f.u.

a = 6.268 Å, b = 6.268 Å, c = 6.268 Å
α = 86.16°, β = 86.16°, γ = 86.16°
Site moments in Bohr magnetons follow the coordinates.
Positions (direct):
Mn: 0.277 0.999 0.724  -0.81
Mn: 0.999 0.724 0.277  -0.81
Mn: 0.724 0.277 0.999  -0.81
Mn: 0.724 0.999 0.277  -0.81
Mn: 0.898 0.898 0.898  -1.87
Mn: 0.000 0.501 0.000  0.29
Mn: 0.501 0.000 0.000  0.29
Mn: 0.360 0.360 0.872  2.14
Mn: 0.099 0.099 0.099  -1.92
Mn: 0.872 0.360 0.360  2.14
Mn: 0.000 0.000 0.501  0.29
Mn: 0.643 0.123 0.643  2.16
Mn: 0.999 0.277 0.724  -0.81
Mn: 0.123 0.643 0.643  2.16
Mn: 0.277 0.724 0.999  -0.81
Mn: 0.360 0.872 0.360  2.14
Mn: 0.643 0.643 0.123  2.16
Zr: 0.645 0.645 0.645  -0.18
Dy: 0.356 0.356 0.356  -0.11

=====

Entry 1:
First-principles (PBE-GGA) data for a relaxed Pm2CuP3Rh12 crystal, as listed in Alexandria via LeMat-Bulk.

Computed properties:
DOS(E_F)   0.665 states/eV/atom
E   -6.755 eV/atom
Space-group type   No. 166
Volume   313 Å³/cell

a b c (Å): 7.027 7.027 7.027
angles (deg): 74.07 74.07 74.07
Positions (direct):
1 Pm 0.108 0.108 0.108
2 Pm 0.892 0.892 0.892
3 Cu 0.500 0.500 0.500
4 P 0.000 0.500 0.500
5 P 0.500 0.000 0.500
6 P 0.500 0.500 0.000
7 Rh 0.144 0.646 0.646
8 Rh 0.166 0.166 0.585
9 Rh 0.166 0.585 0.166
10 Rh 0.354 0.354 0.856
11 Rh 0.354 0.856 0.354
12 Rh 0.415 0.834 0.834
13 Rh 0.585 0.166 0.166
14 Rh 0.646 0.144 0.646
15 Rh 0.646 0.646 0.144
16 Rh 0.834 0.415 0.834
17 Rh 0.834 0.834 0.415
18 Rh 0.856 0.354 0.354

Entry 2:
First-principles (PBE-GGA) data for a relaxed Pm2CuP3Rh4 crystal, as listed in Alexandria via LeMat-Bulk.

Computed properties:
DOS(E_F)   0.460 states/eV/atom
E   -6.901 eV/atom
Space-group type   No. 115
Volume   166 Å³/cell

a b c (Å): 4.114 4.114 9.839
angles (deg): 90.00 90.00 90.00
Positions (direct):
1 Pm 0.000 0.500 0.242
2 Pm 0.500 0.000 0.758
3 Cu 0.500 0.500 0.000
4 P 0.000 0.000 0.000
5 P 0.000 0.500 0.636
6 P 0.500 0.000 0.364
7 Rh 0.000 0.000 0.500
8 Rh 0.000 0.500 0.869
9 Rh 0.500 0.000 0.131
10 Rh 0.500 0.500 0.500

Entry 3:
First-principles (PBE-GGA) data for a relaxed Pm3CuP2Rh9 crystal, as listed in Alexandria via LeMat-Bulk.

Computed properties:
DOS(E_F)   0.684 states/eV/atom
E   -6.890 eV/atom
Space-group type   No. 164
Volume   276 Å³/cell

a b c (Å): 6.145 6.145 8.427
angles (deg): 90.00 90.00 120.00
Positions (direct):
1 Pm 0.000 0.000 0.000
2 Pm 0.333 0.667 0.646
3 Pm 0.667 0.333 0.354
4 Cu 0.000 0.000 0.500
5 P 0.333 0.667 0.166
6 P 0.667 0.333 0.834
7 Rh 0.000 0.500 0.000
8 Rh 0.157 0.315 0.296
9 Rh 0.157 0.843 0.296
10 Rh 0.315 0.157 0.704
11 Rh 0.500 0.000 0.000
12 Rh 0.500 0.500 0.000
13 Rh 0.685 0.843 0.296
14 Rh 0.843 0.157 0.704
15 Rh 0.843 0.685 0.704

Entry 4:
First-principles (PBE-GGA) data for a relaxed PmCuP2Rh5 crystal, as listed in Alexandria via LeMat-Bulk.

Computed properties:
DOS(E_F)   0.686 states/eV/atom
E   -6.748 eV/atom
Space-group type   No. 123
Volume   158 Å³/cell

a b c (Å): 4.062 4.062 9.569
angles (deg): 90.00 90.00 90.00
Positions (direct):
1 Pm 0.000 0.000 0.000
2 Cu 0.000 0.000 0.500
3 P 0.500 0.500 0.236
4 P 0.500 0.500 0.764
5 Rh 0.000 0.500 0.342
6 Rh 0.000 0.500 0.658
7 Rh 0.500 0.000 0.342
8 Rh 0.500 0.000 0.658
9 Rh 0.500 0.500 0.000

Entry 5:
First-principles (PBE-GGA) data for a relaxed PmScCuP crystal, as listed in Alexandria via LeMat-Bulk.

Computed properties:
DOS(E_F)   1.025 states/eV/atom
E   -5.688 eV/atom
Space-group type   No. 216
Volume   313 Å³/cell

a b c (Å): 6.789 6.789 6.789
angles (deg): 90.00 90.00 90.00
Positions (direct):
1 Pm 0.000 0.000 0.000
'''

(Solution)
Below is crystalline DyZrMn17 at its relaxed geometry, with properties calculated at the PBE-GGA level.

The theoretical density is 8.060 g/cm3. The calculation puts the density of states at the Fermi level at 18.5 states/eV/f.u. For the magnetization, the calculation gives 0.25 μB/atom. Its symmetry is R3m. For the electronic total energy, the calculation gives -0.32753 hartree per atom. For the energy of formation from the pure elements, the calculation gives -0.307 eV/f.u.

a = 6.268 Å, b = 6.268 Å, c = 6.268 Å
α = 86.16°, β = 86.16°, γ = 86.16°
Site moments in Bohr magnetons follow the coordinates.
Positions (direct):
Mn: 0.277 0.999 0.724  -0.81
Mn: 0.999 0.724 0.277  -0.81
Mn: 0.724 0.277 0.999  -0.81
Mn: 0.724 0.999 0.277  -0.81
Mn: 0.898 0.898 0.898  -1.87
Mn: 0.000 0.501 0.000  0.29
Mn: 0.501 0.000 0.000  0.29
Mn: 0.360 0.360 0.872  2.14
Mn: 0.099 0.099 0.099  -1.92
Mn: 0.872 0.360 0.360  2.14
Mn: 0.000 0.000 0.501  0.29
Mn: 0.643 0.123 0.643  2.16
Mn: 0.999 0.277 0.724  -0.81
Mn: 0.123 0.643 0.643  2.16
Mn: 0.277 0.724 0.999  -0.81
Mn: 0.360 0.872 0.360  2.14
Mn: 0.643 0.643 0.123  2.16
Zr: 0.645 0.645 0.645  -0.18
Dy: 0.356 0.356 0.356  -0.11

=====

Entry 1:
First-principles (PBE-GGA) data for a relaxed Pm2CuP3Rh12 crystal, as listed in Alexandria via LeMat-Bulk.

Computed properties:
DOS(E_F)   0.665 states/eV/atom
E   -6.755 eV/atom
Space-group type   No. 166
Volume   313 Å³/cell

a b c (Å): 7.027 7.027 7.027
angles (deg): 74.07 74.07 74.07
Positions (direct):
1 Pm 0.108 0.108 0.108
2 Pm 0.892 0.892 0.892
3 Cu 0.500 0.500 0.500
4 P 0.000 0.500 0.500
5 P 0.500 0.000 0.500
6 P 0.500 0.500 0.000
7 Rh 0.144 0.646 0.646
8 Rh 0.166 0.166 0.585
9 Rh 0.166 0.585 0.166
10 Rh 0.354 0.354 0.856
11 Rh 0.354 0.856 0.354
12 Rh 0.415 0.834 0.834
13 Rh 0.585 0.166 0.166
14 Rh 0.646 0.144 0.646
15 Rh 0.646 0.646 0.144
16 Rh 0.834 0.415 0.834
17 Rh 0.834 0.834 0.415
18 Rh 0.856 0.354 0.354

Entry 2:
First-principles (PBE-GGA) data for a relaxed Pm2CuP3Rh4 crystal, as listed in Alexandria via LeMat-Bulk.

Computed properties:
DOS(E_F)   0.460 states/eV/atom
E   -6.901 eV/atom
Space-group type   No. 115
Volume   166 Å³/cell

a b c (Å): 4.114 4.114 9.839
angles (deg): 90.00 90.00 90.00
Positions (direct):
1 Pm 0.000 0.500 0.242
2 Pm 0.500 0.000 0.758
3 Cu 0.500 0.500 0.000
4 P 0.000 0.000 0.000
5 P 0.000 0.500 0.636
6 P 0.500 0.000 0.364
7 Rh 0.000 0.000 0.500
8 Rh 0.000 0.500 0.869
9 Rh 0.500 0.000 0.131
10 Rh 0.500 0.500 0.500

Entry 3:
First-principles (PBE-GGA) data for a relaxed Pm3CuP2Rh9 crystal, as listed in Alexandria via LeMat-Bulk.

Computed properties:
DOS(E_F)   0.684 states/eV/atom
E   -6.890 eV/atom
Space-group type   No. 164
Volume   276 Å³/cell

a b c (Å): 6.145 6.145 8.427
angles (deg): 90.00 90.00 120.00
Positions (direct):
1 Pm 0.000 0.000 0.000
2 Pm 0.333 0.667 0.646
3 Pm 0.667 0.333 0.354
4 Cu 0.000 0.000 0.500
5 P 0.333 0.667 0.166
6 P 0.667 0.333 0.834
7 Rh 0.000 0.500 0.000
8 Rh 0.157 0.315 0.296
9 Rh 0.157 0.843 0.296
10 Rh 0.315 0.157 0.704
11 Rh 0.500 0.000 0.000
12 Rh 0.500 0.500 0.000
13 Rh 0.685 0.843 0.296
14 Rh 0.843 0.157 0.704
15 Rh 0.843 0.685 0.704

Entry 4:
First-principles (PBE-GGA) data for a relaxed PmCuP2Rh5 crystal, as listed in Alexandria via LeMat-Bulk.

Computed properties:
DOS(E_F)   0.686 states/eV/atom
E   -6.748 eV/atom
Space-group type   No. 123
Volume   158 Å³/cell

a b c (Å): 4.062 4.062 9.569
angles (deg): 90.00 90.00 90.00
Positions (direct):
1 Pm 0.000 0.000 0.000
2 Cu 0.000 0.000 0.500
3 P 0.500 0.500 0.236
4 P 0.500 0.500 0.764
5 Rh 0.000 0.500 0.342
6 Rh 0.000 0.500 0.658
7 Rh 0.500 0.000 0.342
8 Rh 0.500 0.000 0.658
9 Rh 0.500 0.500 0.000

Entry 5:
First-principles (PBE-GGA) data for a relaxed PmScCuP crystal, as listed in Alexandria via LeMat-Bulk.

Computed properties:
DOS(E_F)   1.025 states/eV/atom
E   -5.688 eV/atom
Space-group type   No. 216
Volume   313 Å³/cell

a b c (Å): 6.789 6.789 6.789
angles (deg): 90.00 90.00 90.00
Positions (direct):
1 Pm 0.000 0.000 0.000